+private SECURITY


German court lets off ‘Sharia police’ patrol in Wuppertal – BBC News

A German court rules that Islamists who patrolled a city’s streets as “Sharia police” did not break the law and will not be prosecuted. Nine were arrested in September 2014 after patrolling streets in Wuppertal, western Germany. They wore bright orange jackets with the words “Sharia police”. They told passers-by not to frequent discos, casinos Read More

Planned Parenthood’s Right to Bear Arms | Cato Institute

The entry is interrupted by molecular data:
1.
ORCA calculation (ωB97M-V with the def2-TZVPD basis set) on a 2-piece molecular cluster, C4H12O overall.

CARTESIAN COORDINATES (ANGSTROEM)
C  1.43938  -0.69906  -0.96830
C  0.92858  0.60089  -1.56074
C  1.89265  -0.56609  0.46423
H  0.67047  -1.47764  -1.02909
H  2.23751  -1.19368  -1.53074
H  0.03242  0.86687  -0.99506
H  0.61184  0.48391  -2.59442
H  2.87945  -0.12909  0.60605
H  1.28387  0.06585  1.12701
H  1.62930  1.40238  -1.36336
H  1.93332  -1.50346  1.02269
C  -2.37666  0.61783  1.28958
O  -3.00581  -0.65646  1.05855
H  -3.57860  -0.53478  0.29964
H  -1.44052  0.46495  1.83135
H  -3.01920  1.12602  1.95897
H  -2.11800  1.13155  0.38365

Force components x, y, z for each atom (eV/Å):
C -0.0636 -1.0103 -0.0303
C -0.4798 -0.4576 0.6379
C 0.2314 0.2007 1.5715
H -0.3062 0.2951 0.1537
H 0.2253 0.5489 -0.2091
H -0.0967 0.0836 -0.0318
H 0.3575 0.2839 -0.1543
H 0.2793 0.0628 -0.4832
H -0.4219 0.0171 -0.5601
H 0.2602 0.2413 -0.5242
H 0.0012 -0.2639 -0.3626
C 0.4306 -1.5446 0.5190
O 0.5775 0.2655 -0.2958
H -0.1431 -0.1552 -0.0464
H -0.0346 -0.3002 -0.0889
H -0.5936 1.2835 0.3771
H -0.2237 0.4491 -0.4724

Summary:
Lowest unoccupied orbital energy, eV: 0.9482
Energy above the lowest of the compared OMol25 structures with the same formula, charge and spin, kcal/mol: 18.86
HOMO, eV: -10.461
Max |F|, eV/A: 1.685
Kohn-Sham gap, eV: 11.4
Structure (SMILES): CCC.CO

2.
ORCA calculation (ωB97M-V with the def2-TZVPD basis set) on a 3-piece molecular cluster, C4H12O2 overall.

CARTESIAN COORDINATES (ANGSTROEM)
C  -0.85376  -1.21708  0.44057
C  -0.81848  -0.13423  1.20831
C  -0.70266  -0.22821  2.71060
C  -0.52526  -1.18252  -1.01115
H  -1.16568  -2.11072  0.97822
H  -0.81949  0.84526  0.79427
H  -1.15633  0.61623  3.23089
H  -1.22989  -1.12473  3.06152
H  0.35003  -0.36636  2.95961
H  -1.27864  -1.56239  -1.70029
H  0.41044  -1.75772  -1.09909
H  -0.14025  -0.22573  -1.36043
H  3.60232  -1.17208  -1.20814
H  3.76394  -0.11867  -2.34067
O  3.73272  -0.22930  -1.38064
H  -0.60227  3.31362  -2.39692
H  -1.68759  3.07348  -1.37450
O  -0.87914  3.58115  -1.51217

Force components x, y, z for each atom (eV/Å):
C -0.7337 0.9440 0.1764
C -0.0415 -0.5036 0.8052
C -0.7520 -0.4798 -0.2562
C 0.7630 -0.4789 -0.1139
H 0.5835 -0.4532 -0.4201
H 0.6034 0.6662 -0.4723
H 0.2925 0.1210 0.0197
H 0.1210 0.0101 0.0172
H -0.0209 0.3376 0.2678
H 0.0270 -0.1399 0.0665
H -0.2977 -0.4309 -0.3285
H -0.5349 0.4006 0.2188
H -0.1305 -0.0389 -0.2758
H -0.1715 -0.2190 -0.0349
O 0.2544 0.2946 0.3233
H 0.1804 -0.1088 -0.0539
H -0.0178 -0.1120 0.0588
O -0.1248 0.1908 0.0020

Summary:
Lowest unoccupied orbital energy (spin up / spin down), eV: 3.7744 / 3.6336
Energy above the lowest of the compared OMol25 structures with the same formula, charge and spin, kcal/mol: 19.81
2S+1: 2
HOMO (spin up / spin down), eV: 1.094 / -5.879
Max |F|, eV/A: 1.209
Total charge: -1
Expectation value of S²: 0.75
Kohn-Sham gap (spin up / spin down), eV: 2.7 / 9.5

3.
Back to the entry:

Last week, the Planned Parenthood Federation of America, Inc., was attacked in Colorado Springs. Although many details about the perpetrator, who killed three people and wounded nine, are still unclear, Colorado Springs mayor John Suthers said that the attacker’s motive could be inferred from the location he chose. Violence against clinics raises an important legal Read More

== Attached: molecular data ==
Formula: C57H143N9O19
Source: the OMol25 dataset
Level of theory: the ωB97M-V functional and the def2-TZVPD basis

Summary:
ΔE to the lowest compared entry with this formula, charge and spin, eV: 2.036
Strongest force on any atom, hartree/bohr: 0.0352
LUMO, eV: 0.5505
Molecular weight, g/mol: 1258.82
E_HOMO, eV: -8.31
Gap between HOMO and LUMO, hartree: 0.325

Geometry (Å):
C (-1.57216, -5.14670, 3.18569)
O (-0.75783, -4.55996, 2.18794)
C (-0.04207, -5.47680, 1.41520)
C (0.62388, -4.72911, 0.29116)
N (1.42623, -5.64455, -0.46796)
C (1.83258, -5.41976, -1.82140)
C (2.33490, -3.99567, -2.04287)
O (3.00593, -3.80742, -3.25230)
C (3.91648, -2.73247, -3.25309)
H (-2.25232, -4.40708, 3.59243)
H (-0.92420, -5.57439, 3.95997)
H (-2.15517, -5.96709, 2.74833)
H (-0.65899, -6.28656, 0.99745)
H (0.72344, -6.01202, 2.00782)
H (1.26047, -3.90845, 0.65273)
H (-0.13427, -4.25018, -0.34077)
H (1.84033, -6.41850, 0.01484)
H (0.93217, -5.53501, -2.44699)
H (2.58685, -6.14811, -2.11292)
H (2.97619, -3.77912, -1.17825)
H (1.44547, -3.34852, -2.01207)
H (4.18453, -2.40377, -4.25203)
H (4.81329, -3.08562, -2.73050)
H (3.53156, -1.88503, -2.67072)
C (2.21764, -8.31063, -11.00821)
O (2.03300, -6.90616, -10.98724)
C (0.99914, -6.52265, -10.09615)
C (1.57017, -6.10297, -8.75471)
N (0.52339, -5.96871, -7.74092)
C (0.95735, -5.21314, -6.57275)
C (-0.01002, -4.16548, -6.09329)
O (-0.02483, -3.02922, -6.92755)
C (0.70810, -1.95990, -6.39821)
H (1.28084, -8.78514, -11.32331)
H (2.60049, -8.66727, -10.05170)
H (2.90803, -8.55027, -11.81760)
H (0.19341, -7.26213, -10.06344)
H (0.52897, -5.63568, -10.54385)
H (2.18433, -5.20301, -8.90158)
H (2.29074, -6.85787, -8.41182)
H (-0.21116, -5.42482, -8.18941)
H (1.96073, -4.78145, -6.71975)
H (1.19326, -5.90259, -5.74826)
H (0.26257, -3.97271, -5.04629)
H (-1.03457, -4.54775, -6.03216)
H (1.62673, -2.27239, -5.88248)
H (0.11422, -1.47928, -5.60328)
H (0.97763, -1.20863, -7.13579)
C (-9.24491, 0.38314, -1.16117)
O (-8.79714, -0.86417, -1.63842)
C (-7.72887, -1.35463, -0.86482)
C (-7.41363, -2.78506, -1.29671)
N (-6.05238, -3.18306, -0.99471)
C (-5.56651, -4.25591, -1.84381)
C (-4.25135, -4.79392, -1.29109)
O (-3.12028, -3.94072, -1.29731)
C (-2.80863, -3.39049, -2.53780)
H (-8.44278, 1.13145, -1.14873)
H (-9.67397, 0.30620, -0.15535)
H (-10.02607, 0.73873, -1.83237)
H (-7.94805, -1.31340, 0.21196)
H (-6.81807, -0.75571, -1.00898)
H (-7.76069, -2.80925, -2.34426)
H (-8.04976, -3.49814, -0.75929)
H (-5.40814, -2.40362, -1.02386)
H (-5.47374, -3.91829, -2.88633)
H (-6.18231, -5.16007, -1.83925)
H (-3.93597, -5.72770, -1.78373)
H (-4.43190, -5.06969, -0.25104)
H (-1.83444, -2.89171, -2.50430)
H (-3.46729, -2.57589, -2.87459)
H (-2.73816, -4.13997, -3.33857)
C (-0.07754, 3.34853, 5.96951)
O (0.86133, 2.32691, 5.71367)
C (0.94287, 1.38921, 6.76350)
C (1.83344, 0.24230, 6.37655)
N (1.41549, -0.54138, 5.23166)
C (2.44258, -0.95094, 4.29754)
C (1.84955, -1.48987, 3.02465)
O (0.89063, -0.58314, 2.51282)
C (0.15154, -1.06981, 1.42210)
== So much for the molecular data ==

Private police – Wikipedia, the free encyclopedia

Private police are law enforcement bodies that are owned and/or controlled by non-governmental entities. Additionally, the term can refer to an off-duty police officer while working for a private entity, providing security, or otherwise law enforcement-related services. These can be firms to which the government contracts out police work (e.g. the 1975–1977 Oro Valley, Arizona–Rural/Metro Read More

Opinion: It’s time to consider privatized policing | guns.com

The problem Questions of police accountability and efficacy have been prominent topics in the news of late.  On a disturbingly regular basis, we hear and read stories of heavy-handed responses by officers, who, instead of de-escalating confrontations as a domestic police force ought, seem to prefer committing violence on the citizenry they’re ostensibly charged to Read More

These data records were left in the page by mistake.
- - -
[1]
{"formula": "C2H3ClO2S", "method": "ωB97M-V/def2-TZVPD", "symbols": ["C", "C", "O", "O", "S", "Cl", "H", "H", "H"], "coordinates": [[0.1269, -0.3374, 0.7990], [-1.1095, -0.5496, -0.1007], [1.7880, 0.7869, -0.9330], [-1.1291, -1.2405, -1.1101], [0.8318, 1.2090, 0.3359], [-2.3996, 0.6051, 0.2054], [-0.2073, -0.1083, 1.7929], [0.9319, -1.1929, 0.7575], [1.1669, 0.8278, -1.7467]], "atomic_forces_ev_per_a": [[0.2762, -1.7146, -0.6055], [1.3003, -1.4825, -2.7152], [-1.7414, 0.0670, -2.2007], [-0.0550, 1.4123, 2.6550], [0.7558, 0.8221, 0.1700], [-0.2684, -0.1420, 0.2687], [-0.1432, -0.3493, 0.7511], [-1.8530, 1.5740, 0.0286], [1.7288, -0.1871, 1.6479]], "lowdin_charge": [-0.4889, -0.8569, -0.4715, 0.0129, 0.8606, 0.6581, 0.0519, 0.1430, 0.0907], "smiles": "O=C(Cl)CSO", "e_above_lowest_kcal_mol": 9.1, "charge": 0, "largest_force_ev_per_a": 3.36}

=====

[2]
{"formula": "C2H3ClO2S", "method": "ωB97M-V/def2-TZVPD", "symbols": ["C", "C", "O", "O", "S", "Cl", "H", "H", "H"], "coordinates": [[-0.5050, -0.1063, 0.4015], [-1.6367, 0.6342, -0.1353], [1.4377, -0.2118, -1.7421], [-1.7120, 1.8341, -0.2140], [0.1037, -1.6179, -0.2743], [-3.1318, -0.4436, -0.3971], [0.2913, 0.6347, 0.4183], [-0.7931, -0.0679, 1.5075], [0.7020, 0.1721, -2.2417]], "atomic_forces_ev_per_a": [[0.7859, 0.8570, 2.5302], [-2.1443, 2.2188, -0.6526], [-0.0557, -0.1841, 0.1599], [-0.0552, -2.5601, -0.1689], [-0.1824, 0.0465, -0.1455], [1.0179, 0.7193, -0.0412], [0.4685, -0.1341, -0.4712], [0.2228, -0.9979, -1.0600], [-0.0575, 0.0346, -0.1507]], "lowdin_charge": [-0.6434, -0.7967, -0.2605, 0.0738, 0.8762, 0.5647, 0.0857, 0.1305, -0.0302], "spin_multiplicity": 3, "e_above_lowest_kcal_mol": 51.5, "charge": 0, "largest_force_ev_per_a": 3.15, "s2": 2.01}

=====

[3]
{"formula": "C2H3ClO4P", "method": "ωB97M-V/def2-TZVPD", "symbols": ["C", "C", "O", "O", "O", "O", "P", "Cl", "H", "H", "H"], "coordinates": [[-1.8023, 0.6473, -0.8531], [0.9284, -0.6247, 1.2392], [-1.0249, -0.2934, -0.6781], [-2.6910, 0.7930, -1.5806], [1.1001, -1.4094, -1.4158], [1.1618, 1.1191, -0.9879], [0.7934, -0.2143, -0.6010], [-1.4045, 2.1840, 0.3140], [0.1841, -1.3981, 1.3962], [1.9265, -1.0117, 1.3720], [0.8282, 0.2083, 1.7950]], "atomic_forces_ev_per_a": [[0.9082, 2.0273, 1.0922], [0.3417, -2.0378, -3.6832], [1.5534, -1.4701, 0.7649], [-2.3598, 0.5599, -1.3620], [0.1359, -0.1404, 0.3642], [0.6986, 2.3733, -0.2951], [-0.4408, -2.9934, 1.0656], [-0.4061, -0.7562, -0.3286], [-0.0051, 0.0021, 0.3397], [0.3102, -0.3428, 0.0597], [-0.7362, 2.7780, 1.9827]], "lowdin_charge": [-0.9017, -0.1345, -0.1024, 0.0858, -0.3524, -0.3374, 0.3094, 0.3879, 0.0387, 0.0296, -0.0230], "smiles": "C[P@](=O)([O-])OC(=O)Cl", "e_above_lowest_kcal_mol": 0.0, "charge": -1, "largest_force_ev_per_a": 4.22}

=====

[4]
- - -

Texas Town Gets Rid of Police Dept., Hires ‘SEAL Security’ — Guess What Reportedly Happened to Crime | TheBlaze.com

In 2012, the community of Sharpstown, Texas, made the controversial decision not to renew its contract with the local police department and instead hire a private security firm to combat crime. Since SEAL Security Solutions took over law enforcement in Sharpstown, crime has reportedly dropped by 61 percent in just 20 months. James Alexander, director Read More

Texas Town Hires Private Police Force … And Then Something Stunning Happened | The Conservative Tribune

American police forces have had more than their share of bad publicity. Corruption, racial profiling, use of excessive force … rightly or wrongly, it has all been reported regularly on the televised evening news. And it appears to be happening nationwide. So one Texas town decided to think outside the box. The civic leaders fired Read More